-- File --
┌──
Entry 1:
Eu2SiO4: relaxed, r2SCAN.

symmetry = P2_1/c (14)
ΔE to the lowest computed polymorph = 0 meV per atom
crystal system = monoclinic
calculated formation energy = -3255 meV/atom

Cell: 5.6556 7.0798 10.9172 Å, 90.00 117.57 90.00°
Fractional coordinates of all 28 atoms:
Eu  0.0244  0.9999  0.3018
Eu  0.0244  0.5001  0.8018
Eu  0.3103  0.1574  0.0762
Eu  0.3103  0.3426  0.5762
Eu  0.6897  0.6574  0.4238
Eu  0.6897  0.8426  0.9238
Eu  0.9756  0.0001  0.6982
Eu  0.9756  0.4999  0.1982
Si  0.3404  0.7203  0.0818
Si  0.3404  0.7797  0.5818
Si  0.6596  0.2203  0.4182
Si  0.6596  0.2797  0.9182
O  0.1502  0.6764  0.6390
O  0.1502  0.8236  0.1390
O  0.2520  0.6827  0.4292
O  0.2520  0.8173  0.9292
O  0.2872  0.0053  0.5686
O  0.2872  0.4947  0.0686
O  0.3446  0.2358  0.8181
O  0.3446  0.2642  0.3181
O  0.6554  0.7358  0.6819
O  0.6554  0.7642  0.1819
O  0.7128  0.5053  0.9314
O  0.7128  0.9947  0.4314
O  0.7480  0.1827  0.0708
O  0.7480  0.3173  0.5708
O  0.8498  0.1764  0.8610
O  0.8498  0.3236  0.3610


Entry 2:
Lu2Mo3O12: relaxed, r2SCAN.

symmetry = Pbcn (60)
crystal system = orthorhombic
calculated formation energy = -2787 meV/atom

Cell: 13.6271 9.8199 9.9134 Å, 90.00 90.00 90.00°
Fractional coordinates of all 68 atoms:
Lu  0.1189  0.2492  0.0338
Lu  0.1189  0.7508  0.5338
Lu  0.3811  0.2508  0.5338
Lu  0.3811  0.7492  0.0338
Lu  0.6189  0.2508  0.9662
Lu  0.6189  0.7492  0.4662
Lu  0.8811  0.2492  0.4662
Lu  0.8811  0.7508  0.9662
Mo  0.0000  0.0264  0.7500
Mo  0.0000  0.9736  0.2500
Mo  0.1440  0.3953  0.3824
Mo  0.1440  0.6047  0.8824
Mo  0.3560  0.1047  0.8824
Mo  0.3560  0.8953  0.3824
Mo  0.5000  0.4736  0.2500
Mo  0.5000  0.5264  0.7500
Mo  0.6440  0.1047  0.6176
Mo  0.6440  0.8953  0.1176
Mo  0.8560  0.3953  0.1176
Mo  0.8560  0.6047  0.6176
O  0.0296  0.3249  0.4258
O  0.0296  0.6751  0.9258
O  0.0613  0.1295  0.8681
O  0.0613  0.8705  0.3681
O  0.0860  0.0777  0.1667
O  0.0860  0.9223  0.6667
O  0.1412  0.4273  0.9079
O  0.1412  0.5727  0.4079
O  0.1682  0.3611  0.2112
O  0.1682  0.6389  0.7112
O  0.2358  0.3225  0.4845
O  0.2358  0.6775  0.9845
O  0.2642  0.1775  0.9845
O  0.2642  0.8225  0.4845
O  0.3318  0.1389  0.7112
O  0.3318  0.8611  0.2112
O  0.3588  0.0727  0.4079
O  0.3588  0.9273  0.9079
O  0.4140  0.4223  0.6667
O  0.4140  0.5777  0.1667
O  0.4387  0.3705  0.3681
O  0.4387  0.6295  0.8681
O  0.4704  0.1751  0.9258
O  0.4704  0.8249  0.4258
O  0.5296  0.1751  0.5742
O  0.5296  0.8249  0.0742
O  0.5613  0.3705  0.1319
O  0.5613  0.6295  0.6319
O  0.5860  0.4223  0.8333
O  0.5860  0.5777  0.3333
O  0.6412  0.0727  0.0921
O  0.6412  0.9273  0.5921
O  0.6682  0.1389  0.7888
O  0.6682  0.8611  0.2888
O  0.7358  0.1775  0.5155
O  0.7358  0.8225  0.0155
O  0.7642  0.3225  0.0155
O  0.7642  0.6775  0.5155
O  0.8318  0.3611  0.2888
O  0.8318  0.6389  0.7888
O  0.8588  0.4273  0.5921
O  0.8588  0.5727  0.0921
O  0.9140  0.0777  0.3333
O  0.9140  0.9223  0.8333
O  0.9387  0.1295  0.6319
O  0.9387  0.8705  0.1319
O  0.9704  0.3249  0.0742
O  0.9704  0.6751  0.5742


Which of these has the lowest calculated formation energy? Eu2SiO4


What is the formula in the second record? Lu2Mo3O12


What is the formula in the first record? Eu2SiO4


The highest calculated formation energy belongs to which entry? Lu2Mo3O12

=====

Record 1
Here is an optimized crystal structure of KEuPO4 from the Materials Project. Energies are from PBE-GGA.

Cell lengths 7.427, 5.623, 9.777 Å; angles 90.00, 90.00, 90.00 degrees
Element x y z (fractional)
K 0.158 0.250 0.082
K 0.342 0.750 0.582
K 0.658 0.250 0.418
K 0.842 0.750 0.918
Eu 0.003 0.250 0.695
Eu 0.497 0.750 0.195
Eu 0.503 0.250 0.805
Eu 0.997 0.750 0.305
P 0.225 0.250 0.415
P 0.275 0.750 0.915
P 0.725 0.250 0.085
P 0.775 0.750 0.585
O 0.016 0.250 0.427
O 0.192 0.750 0.062
O 0.214 0.522 0.837
O 0.214 0.978 0.837
O 0.286 0.022 0.337
O 0.286 0.478 0.337
O 0.308 0.250 0.562
O 0.484 0.750 0.927
O 0.516 0.250 0.073
O 0.692 0.750 0.438
O 0.714 0.522 0.663
O 0.714 0.978 0.663
└──

-- Assignment --
Quote the material further above from the line with "0.1819" to the end without additions.

-- Response --
O  0.6554  0.7642  0.1819
O  0.7128  0.5053  0.9314
O  0.7128  0.9947  0.4314
O  0.7480  0.1827  0.0708
O  0.7480  0.3173  0.5708
O  0.8498  0.1764  0.8610
O  0.8498  0.3236  0.3610


Entry 2:
Lu2Mo3O12: relaxed, r2SCAN.

symmetry = Pbcn (60)
crystal system = orthorhombic
calculated formation energy = -2787 meV/atom

Cell: 13.6271 9.8199 9.9134 Å, 90.00 90.00 90.00°
Fractional coordinates of all 68 atoms:
Lu  0.1189  0.2492  0.0338
Lu  0.1189  0.7508  0.5338
Lu  0.3811  0.2508  0.5338
Lu  0.3811  0.7492  0.0338
Lu  0.6189  0.2508  0.9662
Lu  0.6189  0.7492  0.4662
Lu  0.8811  0.2492  0.4662
Lu  0.8811  0.7508  0.9662
Mo  0.0000  0.0264  0.7500
Mo  0.0000  0.9736  0.2500
Mo  0.1440  0.3953  0.3824
Mo  0.1440  0.6047  0.8824
Mo  0.3560  0.1047  0.8824
Mo  0.3560  0.8953  0.3824
Mo  0.5000  0.4736  0.2500
Mo  0.5000  0.5264  0.7500
Mo  0.6440  0.1047  0.6176
Mo  0.6440  0.8953  0.1176
Mo  0.8560  0.3953  0.1176
Mo  0.8560  0.6047  0.6176
O  0.0296  0.3249  0.4258
O  0.0296  0.6751  0.9258
O  0.0613  0.1295  0.8681
O  0.0613  0.8705  0.3681
O  0.0860  0.0777  0.1667
O  0.0860  0.9223  0.6667
O  0.1412  0.4273  0.9079
O  0.1412  0.5727  0.4079
O  0.1682  0.3611  0.2112
O  0.1682  0.6389  0.7112
O  0.2358  0.3225  0.4845
O  0.2358  0.6775  0.9845
O  0.2642  0.1775  0.9845
O  0.2642  0.8225  0.4845
O  0.3318  0.1389  0.7112
O  0.3318  0.8611  0.2112
O  0.3588  0.0727  0.4079
O  0.3588  0.9273  0.9079
O  0.4140  0.4223  0.6667
O  0.4140  0.5777  0.1667
O  0.4387  0.3705  0.3681
O  0.4387  0.6295  0.8681
O  0.4704  0.1751  0.9258
O  0.4704  0.8249  0.4258
O  0.5296  0.1751  0.5742
O  0.5296  0.8249  0.0742
O  0.5613  0.3705  0.1319
O  0.5613  0.6295  0.6319
O  0.5860  0.4223  0.8333
O  0.5860  0.5777  0.3333
O  0.6412  0.0727  0.0921
O  0.6412  0.9273  0.5921
O  0.6682  0.1389  0.7888
O  0.6682  0.8611  0.2888
O  0.7358  0.1775  0.5155
O  0.7358  0.8225  0.0155
O  0.7642  0.3225  0.0155
O  0.7642  0.6775  0.5155
O  0.8318  0.3611  0.2888
O  0.8318  0.6389  0.7888
O  0.8588  0.4273  0.5921
O  0.8588  0.5727  0.0921
O  0.9140  0.0777  0.3333
O  0.9140  0.9223  0.8333
O  0.9387  0.1295  0.6319
O  0.9387  0.8705  0.1319
O  0.9704  0.3249  0.0742
O  0.9704  0.6751  0.5742


Which of these has the lowest calculated formation energy? Eu2SiO4


What is the formula in the second record? Lu2Mo3O12


What is the formula in the first record? Eu2SiO4


The highest calculated formation energy belongs to which entry? Lu2Mo3O12

=====

Record 1
Here is an optimized crystal structure of KEuPO4 from the Materials Project. Energies are from PBE-GGA.

Cell lengths 7.427, 5.623, 9.777 Å; angles 90.00, 90.00, 90.00 degrees
Element x y z (fractional)
K 0.158 0.250 0.082
K 0.342 0.750 0.582
K 0.658 0.250 0.418
K 0.842 0.750 0.918
Eu 0.003 0.250 0.695
Eu 0.497 0.750 0.195
Eu 0.503 0.250 0.805
Eu 0.997 0.750 0.305
P 0.225 0.250 0.415
P 0.275 0.750 0.915
P 0.725 0.250 0.085
P 0.775 0.750 0.585
O 0.016 0.250 0.427
O 0.192 0.750 0.062
O 0.214 0.522 0.837
O 0.214 0.978 0.837
O 0.286 0.022 0.337
O 0.286 0.478 0.337
O 0.308 0.250 0.562
O 0.484 0.750 0.927
O 0.516 0.250 0.073
O 0.692 0.750 0.438
O 0.714 0.522 0.663
O 0.714 0.978 0.663